Five days ago I had a partial denture fitted upper middle tooth and I'm in pain it just won't keep in it keeps falling out of my mouth I went back to the dentist few days ago he saying reason it' moves is because it's early days yet and the area is imflammed and it's spongy has anyone ever experienced this, I just don't want to go out,
Partial denture: Five days ago I had a... - British Liver Trust
Unrelated to this article: materials data:
'''
Record 1
For HoTa7O19, the GGA-PBE geometry in Alexandria gives the computed powder XRD pattern in this record (CuKα).

Top 10 peaks for 10 to 80 degrees two-theta, low angle first:
Position (°2θ)  I/Imax  (hkl)
16.33  32  1 0 0
17.68  24  0 0 4
26.65  66  0 0 6
28.84  100  1 1 1
29.88  44  1 1 2
33.73  52  1 1 4
36.38  51  1 1 5
50.45  41  3 0 0
54.29  24  1 1 10
57.96  41  3 0 6

Structural model:
Cell lengths 6.2662, 6.2662, 20.0660 Å; angles 90.00, 90.00, 120.00 degrees
Space group P-6c2 (No. 188)
One atom of each set of equivalent atoms:
Ho 0.0000 0.0000 0.0000
Ta 0.3333 0.0260 0.1554
Ta 0.6667 0.3333 0.0000
O 0.0000 0.0000 0.1313
O 0.0878 0.4213 0.6529
O 0.2920 0.0439 0.2500
O 0.3764 0.0967 0.0556
O 0.6667 0.3333 0.1658

***

Record 2
For SrLiTb, the GGA-PBE geometry in Alexandria gives the computed powder XRD pattern in this record (CuKα).

Top 10 peaks for 10 to 80 degrees two-theta, low angle first:
Position (°2θ)  I/Imax  (hkl)
12.71  28  0 0 2
24.05  75  1 0 1
25.59  29  0 0 4
30.21  100  1 0 3
33.00  45  1 1 0
42.22  31  1 1 4
51.78  37  1 0 7
53.81  17  2 1 1
57.21  33  2 1 3
72.76  16  2 1 7

Structural model:
Cell lengths 3.839, 3.839, 13.927 Å; angles 90.00, 90.00, 90.00 degrees
Space group I4mm (No. 107)
One atom of each set of equivalent atoms:
Sr 0.000 0.000 0.000
Li 0.000 0.000 0.664
Tb 0.000 0.000 0.294

~~~~~

The following is a simulated powder X-ray diffraction pattern of La2Pm2SmY2. It was derived from a structure optimized by DFT (PBE), using Cu Ka.

Top 6 peaks for 5 to 70 degrees two-theta, by intensity:
- 2.985 Å, I 100
- 1.828 Å, I 36
- 2.583 Å, I 34
- 1.559 Å, I 28
- 2.588 Å, I 17
- 1.557 Å, I 14

Crystal structure
a = 6.3330 Å, b = 6.3330 Å, c = 8.1662 Å
α = 97.48°, β = 97.48°, γ = 48.24°
Sites, in units of the cell vectors:
La (0.1423, 0.1423, 0.4276)
La (0.8577, 0.8577, 0.5724)
Pm (0.4292, 0.4292, 0.2820)
Pm (0.5708, 0.5708, 0.7180)
Sm (0.0000, 0.0000, 0.0000)
Y (0.2846, 0.2846, 0.8610)
Y (0.7154, 0.7154, 0.1390)

***

The following is a simulated powder X-ray diffraction pattern of La2Pm2SmY. It was derived from a structure optimized by DFT (PBE), using Cu Ka.

Top 6 peaks for 5 to 70 degrees two-theta, by intensity:
- 2.893 Å, I 100
- 2.915 Å, I 84
- 1.674 Å, I 32
- 2.053 Å, I 31
- 1.524 Å, I 29
- 1.670 Å, I 19

Crystal structure
a = 7.1696 Å, b = 5.7891 Å, c = 10.0128 Å
α = 90.00°, β = 90.00°, γ = 90.00°
Sites, in units of the cell vectors:
La (0.0000, 0.0000, 0.0000)
La (0.2500, 0.5000, 0.1746)
La (0.5000, 0.0000, 0.0000)
La (0.7500, 0.5000, 0.8254)
Pm (0.2500, 0.0000, 0.3328)
Pm (0.2500, 0.5000, 0.8351)
Pm (0.7500, 0.0000, 0.6672)
Pm (0.7500, 0.5000, 0.1649)
Sm (0.2500, 0.0000, 0.6596)
Sm (0.7500, 0.0000, 0.3404)
Y (0.0000, 0.5000, 0.5000)
Y (0.5000, 0.5000, 0.5000)

***

The following is a simulated powder X-ray diffraction pattern of LaPmSmZn. It was derived from a structure optimized by DFT (PBE), using Cu Ka.

Top 6 peaks for 5 to 70 degrees two-theta, by intensity:
- 2.826 Å, I 100
- 2.603 Å, I 49
'''
Back to the article:
Partial denture

Sorry I've posted on liver trust site I have Aih too should have posted on dental site
Hi pussycat 432.i have two sets of partial dentures. 4 top front 4 bottom front. They extracted the bottom first then I had all the top done 3 months later .I waited 6 weeks to even wear mine. I still only use the bottom ones when I go out. No-one even notices .If you have not long had the extraction then leave it out as I did as my oral surgeon advised me .
Thanks so much Millie09 for replying so quickly very much appreciated I'm sitting here getting upset thinking why won't one tooth at top stay in place it's crazy. I only had it done on Monday. I can't possibly go out with a gap I'd feel very embarrassed what denture fixative do you use? My dentist said I should wear all the time and only take out at night, ru in the uk Millie x
My hubby has lost 1 top front tooth and 4 front lower teeth due to prednisolone and calcium issues (& had them out owing to them being wobbly and a possible infection risk if he got his transplant) - he couldn't get on with his dentures at all and has never worn them. It's a bit more of an issue with ladies I guess but hubby just couldn't be bothered with the fiddlyness of his top plate (it fit in the wrong way for him, being left handed and it needed to click in to the left hand side and he just couldn't get it to fit).
Check with your specialist about dental fixatives as some have been found to have bad side effects and your liver could be affected by them.
_Attached: materials data_
/*
Diffraction record for Cs3NbAs3. The powder diffractogram is theoretical, not measured: it uses a cell relaxed with GGA-PBE and Cu Ka.
No peak broadening, texture or thermal motion is included.

Lattice parameters (Å, degrees): 10.207 8.424 14.125 90.00 94.48 90.00
Fractional positions:
Cs 0.022 0.093 0.145
Cs 0.022 0.407 0.645
Cs 0.353 0.677 0.792
Cs 0.353 0.823 0.292
Cs 0.381 0.197 0.940
Cs 0.381 0.303 0.440
Cs 0.619 0.697 0.560
Cs 0.619 0.803 0.060
Cs 0.647 0.177 0.708
Cs 0.647 0.323 0.208
Cs 0.978 0.593 0.355
Cs 0.978 0.907 0.855
Nb 0.147 0.564 0.057
Nb 0.147 0.936 0.557
Nb 0.853 0.064 0.443
Nb 0.853 0.436 0.943
As 0.089 0.077 0.400
As 0.089 0.423 0.900
As 0.256 0.683 0.531
As 0.256 0.817 0.031
As 0.287 0.082 0.676
As 0.287 0.418 0.176
As 0.713 0.582 0.824
As 0.713 0.918 0.324
As 0.744 0.183 0.969
As 0.744 0.317 0.469
As 0.911 0.577 0.100
As 0.911 0.923 0.600

Largest 10 diffraction maxima, most intense first, 2θ = 15–90°:
d = 3.248 Å, intensity 100
d = 3.894 Å, intensity 85
d = 3.722 Å, intensity 57
d = 3.157 Å, intensity 49
d = 2.797 Å, intensity 42
d = 3.820 Å, intensity 40
d = 3.780 Å, intensity 35
d = 3.119 Å, intensity 29
d = 3.197 Å, intensity 28
d = 3.091 Å, intensity 25

***

Diffraction record for AgSnAuO4. The powder diffractogram is theoretical, not measured: it uses a cell relaxed with GGA-PBE and Cu Ka.
No peak broadening, texture or thermal motion is included.

Lattice parameters (Å, degrees): 7.009 7.009 7.009 127.71 126.94 77.73
Fractional positions:
Ag 0.401 0.151 0.250
Ag 0.599 0.849 0.750
Sn 0.000 0.500 0.500
Sn 0.500 0.500 0.000
Au 0.000 0.000 0.500
Au 0.000 0.500 0.000
O 0.166 0.707 0.459
O 0.252 0.293 0.959
O 0.263 0.294 0.531
O 0.263 0.731 0.969
O 0.737 0.269 0.031
O 0.737 0.706 0.469
O 0.748 0.707 0.041
O 0.834 0.293 0.541

Largest 10 diffraction maxima, most intense first, 2θ = 15–90°:
d = 2.686 Å, intensity 100
d = 1.712 Å, intensity 52
d = 5.440 Å, intensity 48
d = 3.134 Å, intensity 46
d = 3.146 Å, intensity 44
d = 2.716 Å, intensity 44
d = 2.705 Å, intensity 35
d = 2.061 Å, intensity 26
d = 1.567 Å, intensity 25
d = 1.708 Å, intensity 24

***

Diffraction record for SiB2. The powder diffractogram is theoretical, not measured: it uses a cell relaxed with GGA-PBE and Cu Ka.
No peak broadening, texture or thermal motion is included.

Lattice parameters (Å, degrees): 3.053 3.828 5.697 90.00 95.49 90.00
Fractional positions:
Si 0.056 0.000 0.209
Si 0.944 0.000 0.791
B 0.091 0.484 0.354
B 0.409 0.687 0.646
B 0.591 0.687 0.354
B 0.909 0.484 0.646

Largest 10 diffraction maxima, most intense first, 2θ = 15–90°:
d = 3.039 Å, intensity 100
d = 2.836 Å, intensity 97
d = 3.828 Å, intensity 83
d = 2.380 Å, intensity 76
d = 3.173 Å, intensity 72
d = 2.279 Å, intensity 57
d = 1.620 Å, intensity 52
d = 1.759 Å, intensity 44
d = 1.695 Å, intensity 38
d = 1.537 Å, intensity 37

***

Diffraction record for Ti2CuHOs. The powder diffractogram is theoretical, not measured: it uses a cell relaxed with GGA-PBE and Cu Ka.
*/
_So much for the materials data_
Hope you get on ok soon.
Aww bless. It can be very daunting at first and you feel self concous but believe me in time that will all go away .some dentists advice to wear them straight away but in all my past and present dental work I have always waited and they fit fine .I use fixadent with no trouble at all. It could be that the denture might need adjusting over time as my bottom ones have been altered as the gum shrinks. See how you get on but don't get worrying. It's not as bad as you think it's going to be .yes I'm in the UK.
I will try fixadent to see if that helps, dentist says I have to wait 3 / 6 months, although he says in my case nearer to 6 to have a bridge attached. X
After you have had your teeth out a few months the gums shrink even more. usually before you get the teeth out the dentist takes an impression and the teeth are ready and waiting for you when you go to get them extracted. Then a few months later when the gums have shrunk down the dentist makes you a new set of teeth that fit the gums as they have shrunk down. the best fixadent to get is a powder called poligrip ultra i find it quiite difficult to find and have to go to large branches of boots for it. you only need a tiny amount, you first rinse the denture under running water and shake a very small amount of powder onto it then tap of any excess and put them into your mouth and bite down. i hate all those denture creams as they dont last long and are squishy in the mouth.hope this grace xoxo
My dentist took impression n I had to go back two weeks later n have this partial denture fitted it's one tooth on it it's top tooth middle but my mouth is full of ulcers since it went in and sometimes it just dosent reach top of socket of tooth I went back to dentist who said it's because of swelling it should settle down in two to three weeks I'm in agony
yes pussycat it can be very painful getting used to new dentures and the thing is we have to persevere. This is normal. as jojokarak says rinse your mouth with salt water. if i get ulcers on my tongue or gums i keep a glass of salted water in the bathroom and have a little rinse every time i go to the toilet. which is a lot as im a tea jenny.
Hi I have a full top denture plate and I always have problems for first few weeks when I get a new one. It's normal if it carries on after a few weeks then definitely a trip back to dentist. As for denture fixation I can't use any of them they make me feel sick...... Ones I find bearable every now and again are the strip ones.
Thankyou while it's not nice to hear that you had problems at first , but to hear it's normal makes me feel as if I need to persevere for longer, I'm going to buy some bonjela today for ulcers and then see how it goes
sounds a bit odd as if the tooth is already loose that doesn't bode well... as they get looser as gums shrink back.... does it fit in gap properly or is it too tight.? cazer
I will try to explain when I go to put the partial denture plate in and try to push the tooth back into the socket it feels as if it won't go in high enough so to me then it dosent feel secure, it does fit in the gap but if you can understand I'm feeling it should go up higher to feel more secure, the actually plate itself that is only piece of plastic with no clips tends to move a lot as I swallow meaning spongy it keeps in place but I feel I have to put my tongue up in the roof of my mouth quite a bit to make sure it dosent come out as it did when I was eating, as this is only day 6 I'm going to go back to dentist after giving it more time as he said it will take 2/3 weeks to actually get used to it. No it's definately not too tight thanks for replying cazer